What is needed: restate every line further below that contains the word "C2".

<<<
Starting from DFT lattice parameters and positions (PBE), the XRD peak list of CsNaIn2Cl4 was calculated for Cu Kα X-rays.

Peak list (10 most intense, 15 to 90 degrees two-theta, sorted by position)
| (hkl) | 2θ/deg | I (rel.) |
| --- | --- | --- |
| 2 2 -2 | 23.7 | 61 |
| 0 4 0 | 27.2 | 47 |
| 0 0 2 | 27.6 | 100 |
| 0 4 2 | 39.1 | 68 |
| 4 0 0 | 39.4 | 37 |
| 2 6 -2 | 46.0 | 16 |
| 6 2 -4 | 46.5 | 22 |
| 4 4 0 | 48.5 | 35 |
| 0 8 2 | 63.6 | 12 |
| 4 4 2 | 71.2 | 16 |

Structural model:
a = 12.9214 Å, b = 13.1209 Å, c = 9.1407 Å
α = 90.00°, β = 134.91°, γ = 90.00°
Space group C2/c (No. 15)
Unique sites:
Cs  0.2500  0.2500  0.0000 x4
Na  0.0000  0.0000  0.0000 x4
In  0.0000  0.5000  0.0000 x4
In  0.2500  0.2500  0.5000 x4
Cl  0.0000  0.2160  0.0155 x8
Cl  0.2480  0.0065  0.5000 x8

Starting from DFT lattice parameters and positions (PBE), the XRD peak list of CsNp2InCl8 was calculated for Cu Kα X-rays.

Peak list (10 most intense, 15 to 90 degrees two-theta, sorted by position)
| (hkl) | 2θ/deg | I (rel.) |
| --- | --- | --- |
| 0 1 1 | 16.9 | 69 |
| 1 1 0 | 23.0 | 100 |
| 2 -1 1 | 25.3 | 32 |
| 2 0 1 | 28.7 | 25 |
| 2 -1 2 | 31.4 | 64 |
| 0 1 3 | 34.5 | 29 |
| 3 -2 1 | 37.1 | 25 |
| 3 0 0 | 40.4 | 43 |
| 2 0 3 | 41.9 | 38 |
| 1 2 3 | 48.3 | 33 |

Structural model:
a = 7.7317 Å, b = 7.7317 Å, c = 8.4506 Å
α = 90.00°, β = 90.00°, γ = 120.00°
Space group P-3 (No. 147)
Unique sites:
Cs  0.0000  0.0000  0.0000 x1
Np  0.3333  0.6667  0.4233 x2
In  0.0000  0.0000  0.5000 x1
Cl  0.0508  0.3848  0.6448 x6
Cl  0.3333  0.6667  0.1139 x2

Starting from DFT lattice parameters and positions (PBE), the XRD peak list of CsInRhCl6 was calculated for Cu Kα X-rays.

Peak list (10 most intense, 15 to 90 degrees two-theta, sorted by position)
| (hkl) | 2θ/deg | I (rel.) |
| --- | --- | --- |
| 1 1 -1 | 18.7 | 56 |
| 0 2 1 | 19.5 | 100 |
| 1 3 0 | 27.3 | 21 |
| 1 3 1 | 29.9 | 12 |
| 2 0 -2 | 34.3 | 30 |
| 1 3 -2 | 35.4 | 14 |
| 1 3 2 | 36.2 | 47 |
| 2 4 1 | 43.9 | 16 |
| 3 3 0 | 47.2 | 21 |
| 1 3 -4 | 54.1 | 13 |

Structural model:
a = 6.7483 Å, b = 11.2007 Å, c = 7.8433 Å
α = 90.00°, β = 92.46°, γ = 90.00°
Space group C2 (No. 5)
Unique sites:
Cs  0.0000  0.0000  0.0000 x2
In  0.0000  0.3392  0.5000 x2
Rh  0.0000  0.6780  0.5000 x2
Cl  0.1344  0.5232  0.6735 x4
Cl  0.1747  0.8259  0.6682 x4
Cl  0.1826  0.2014  0.7029 x4

Starting from DFT lattice parameters and positions (PBE), the XRD peak list of CsTiIn2Cl6 was calculated for Cu Kα X-rays.

Peak list (10 most intense, 15 to 90 degrees two-theta, sorted by position)
| (hkl) | 2θ/deg | I (rel.) |
| --- | --- | --- |
| -1 1 1 | 15.9 | 42 |
| 1 -1 1 | 22.2 | 100 |
| 1 1 -1 | 22.9 | 62 |
| -2 1 1 | 23.0 | 31 |
| -1 2 1 | 26.6 | 23 |
| -2 2 2 | 32.2 | 46 |
| 1 -2 2 | 35.6 | 56 |
| -2 1 3 | 35.7 | 30 |
| 2 -3 1 | 40.0 | 37 |
| 3 0 -2 | 40.4 | 31 |

Structural model:
a = 7.7185 Å, b = 7.7501 Å, c = 8.0027 Å
α = 90.07°, β = 118.83°, γ = 119.84°
Space group P1 (No. 1)
Unique sites:
Cs  0.0000  0.0000  0.0000 x1
Ti  0.9738  0.4869  0.4600 x1
In  0.5717  0.2865  0.8562 x1
In  0.5964  0.7980  0.3949 x1
Cl  0.0795  0.4223  0.2297 x1
Cl  0.0923  0.2843  0.6602 x1
Cl  0.3755  0.8077  0.6584 x1
Cl  0.5750  0.1530  0.2292 x1
Cl  0.8063  0.6543  0.2275 x1
Cl  0.8497  0.5686  0.6582 x1

Starting from DFT lattice parameters and positions (PBE), the XRD peak list of CsTl2InCl6 was calculated for Cu Kα X-rays.

Peak list (10 most intense, 15 to 90 degrees two-theta, sorted by position)
| (hkl) | 2θ/deg | I (rel.) |
| --- | --- | --- |
| 1 1 0 | 15.6 | 40 |
| 1 1 2 | 21.8 | 96 |
| 2 1 1 | 22.5 | 100 |
| 0 2 2 | 31.5 | 45 |
| 1 -1 2 | 34.9 | 66 |
| 3 1 0 | 39.1 | 50 |
| 3 3 2 | 39.4 | 42 |
| 4 1 3 | 51.4 | 21 |
| 4 2 4 | 53.7 | 18 |
| 4 5 3 | 62.1 | 18 |

Structural model:
a = 7.9076 Å, b = 7.9141 Å, c = 8.1486 Å
α = 60.99°, β = 60.98°, γ = 60.05°
Space group P1 (No. 1)
Unique sites:
Cs  0.0000  0.0000  0.0000 x1
Tl  0.2815  0.2821  0.1549 x1
Tl  0.7941  0.7947  0.6172 x1
In  0.4862  0.4866  0.5410 x1
>>>

Space group C2/c (No. 15)
Space group C2 (No. 5)